
5 Things Everyone Should Know About Personal Finance

Written by Admin | 5/11/2021

Personal finance isn't your favorite subject. We understand. Talking dollars and cents can be confusing and stressful. As a result, you may be among the 65% of Americans who have no idea how much they spent last month. But ignorance isn't bliss, especially with your money. Here are five things you should know about personal finance to make sure you make the most of every hard-earned dollar.

  • Budgeting is key to successful money management.

Data records from another source follow >
<<<
[1]
Compound: ScBeAlAg2
Source: the Alexandria database
Functional: PBE
Structure: optimized geometry

```
ScBeAlAg2
1.0
4.482 0.000 0.000
0.000 4.482 0.000
0.000 0.000 4.393
Sc Be Al Ag
1 1 1 2
Direct
0.000 0.000 0.000
0.500 0.500 0.500
0.500 0.500 0.000
0.000 0.500 0.500
0.500 0.000 0.500
```

## Properties
size of the total moment	0.00	Bohr magnetons per cell
symmetry	P4/mmm (123)
total DFT energy (no corrections)	-19.11	eV/cell
calculated volume	88	Å³/f.u.
energy relative to the elements	0.08	eV/atom


[2]
Compound: HfZn2Pb
Source: the Alexandria database
Functional: PBE
Structure: optimized geometry

```
HfZn2Pb
1.0
4.300 0.000 0.000
0.000 4.300 0.000
0.000 0.000 4.178
Hf Zn Pb
1 2 1
Direct
0.000 0.000 0.000
0.000 0.500 0.500
0.500 0.000 0.500
0.500 0.500 0.000
```

## Properties
size of the total moment	0.00	Bohr magnetons per cell
symmetry	P4/mmm (123)
total DFT energy (no corrections)	-16.25	eV/cell
calculated volume	77	Å³/f.u.
energy relative to the elements	-0.01	eV/atom


[3]
Compound: CaBTeO5
Source: the Alexandria database
Functional: PBE
Structure: optimized geometry

```
CaBTeO5
1.0
3.294 -4.299 0.000
3.294 4.299 0.000
-3.053 0.000 6.682
Ca B Te O
2 2 2 10
Direct
0.153 0.847 0.750
0.847 0.153 0.250
0.185 0.815 0.250
0.815 0.185 0.750
0.500 0.500 0.000
0.500 0.500 0.500
0.091 0.243 0.904
0.173 0.611 0.359
0.243 0.091 0.404
0.389 0.827 0.141
0.416 0.584 0.750
0.584 0.416 0.250
0.611 0.173 0.859
0.757 0.909 0.596
0.827 0.389 0.641
0.909 0.757 0.096
```

## Properties
size of the total moment	0.00	Bohr magnetons per cell
symmetry	C2/c (15)
total DFT energy (no corrections)	-103.08	eV/cell
calculated volume	95	Å³/f.u.


[4]
Compound: CaCd3H
Source: the Alexandria database
Functional: PBE
Structure: optimized geometry

```
CaCd3H
1.0
4.748 0.000 0.000
0.000 4.748 0.000
0.000 0.000 4.748
Ca Cd H
1 3 1
Direct
0.000 0.000 0.000
0.000 0.500 0.500
0.500 0.000 0.500
0.500 0.500 0.000
0.500 0.500 0.500
```

## Properties
size of the total moment	0.00	Bohr magnetons per cell
symmetry	Pm-3m (221)
total DFT energy (no corrections)	-7.68	eV/cell
calculated volume	107	Å³/f.u.


[5]
Compound: Sb7Os
Source: the Alexandria database
Functional: PBE
Structure: optimized geometry

```
Sb7Os
1.0
0.000 4.631 4.631
4.631 0.000 4.631
4.631 4.631 0.000
Sb Os
7 1
Direct
0.000 0.000 0.000
0.000 0.000 0.500
0.000 0.500 0.000
0.000 0.500 0.500
0.500 0.000 0.000
0.500 0.000 0.500
0.500 0.500 0.000
0.500 0.500 0.500
```

## Properties
size of the total moment	0.00	Bohr magnetons per cell
symmetry	Fm-3m (225)
total DFT energy (no corrections)	-34.95	eV/cell
calculated volume	199	Å³/f.u.

* * * * *

## w
# AlRe2As

A relaxed AlRe2As crystal (GGA-PBEsol, Alexandria via LeMat-Bulk).

Values from the calculation:
- magnetic moment (μB/f.u.) = 0.00
- SG = Fm-3m, No. 225

Lattice parameters (Å, degrees): 4.300 4.300 4.300 60.00 60.00 60.00
Element x y z (fractional)
Re  0.250  0.250  0.250
Re  0.750  0.750  0.750
As  0.500  0.500  0.500
Al  0.000  0.000  0.000



## x
>>>

    Tracking your income and expenses is the fastest way to gain control of your finances. Once you know how much money you have available to cover expenses, you can decide how you'll use the remaining funds to build wealth. Whether you use a mobile app, online software, or pencil and paper, the most important thing you can do is to create a budget - now! Record your total take-home pay from all sources, then subtract your expenses. The amount left over is what you can use to achieve your short- and long-term financial goals.

  • Early savers can save more, with fewer deposits.

    The sooner you start saving for retirement, the more your account balance can benefit from compound interest. When your savings balance compounds, it's earning interest on top of interest. This means that your money has the potential to grow well beyond the original deposits.
    To reap the maximum benefits, start a consistent savings habit as soon as you start working. If your employer offers a matching retirement savings plan, contribute up to the matching amount.

# Calculated crystals, kept here for reference
/*
Density functional theory data (PBE-GGA) for a relaxed structure of Ce2ThGa2Au2.

Unit cell a=4.4738 b=4.4738 c=27.6651 alpha=90.00 beta=90.00 gamma=120.00
Closest atoms and distances in Å follow each position.
Space group R-3m (No. 166, hexagonal axes)
Symmetry-distinct sites (fractional):
Ce  0.0000  0.0000  0.1406 (multiplicity 6)  3 Ce 2.96, 4 Ga 3.15-3.24, 3 Au 3.25
Th  0.0000  0.0000  0.0000 (multiplicity 3)  6 Au 3.22, 6 Ga 3.32
Ga  0.0000  0.0000  0.2578 (multiplicity 6)  3 Au 2.59
Au  0.0000  0.0000  0.4029 (multiplicity 6)  3 Ga 2.59

Values from the calculation:
The formation energy comes out at -580 meV per atom.



Density functional theory data (PBE-GGA) for a relaxed structure of CeTmGa2Au5.

Unit cell a=4.7608 b=4.7608 c=8.4076 alpha=90.00 beta=90.00 gamma=90.00
Closest atoms and distances in Å follow each position.
Space group P4/mmm (No. 123)
Symmetry-distinct sites (fractional):
Ce  0.0000  0.0000  0.0000 (multiplicity 1)  12 Au 3.13-3.37
Tm  0.0000  0.0000  0.5000 (multiplicity 1)  8 Au 3.22, 8 Ga 3.58
Ga  0.5000  0.5000  0.3535 (multiplicity 2)  1 Ga 2.46, 4 Au 2.56
Au  0.0000  0.5000  0.2425 (multiplicity 4)  2 Ga 2.56
Au  0.5000  0.5000  0.0000 (multiplicity 1)  2 Ga 2.97, 8 Au 3.13

Values from the calculation:
The formation energy comes out at -451 meV per atom.



Density functional theory data (PBE-GGA) for a relaxed structure of Ce2TmGa2Au2.

Unit cell a=4.4665 b=4.4665 c=26.4664 alpha=90.00 beta=90.00 gamma=120.00
Closest atoms and distances in Å follow each position.
Space group R-3m (No. 166, hexagonal axes)
Symmetry-distinct sites (fractional):
Ce  0.0000  0.0000  0.1386 (multiplicity 6)  3 Ce 2.98, 4 Ga 3.14-3.27, 3 Au 3.25
Tm  0.0000  0.0000  0.0000 (multiplicity 3)  6 Au 3.09, 6 Ga 3.19
Ga  0.0000  0.0000  0.2623 (multiplicity 6)  3 Au 2.59
Au  0.0000  0.0000  0.3974 (multiplicity 6)  3 Ga 2.59

Values from the calculation:
The formation energy comes out at -610 meV per atom.



Density functional theory data (PBE-GGA) for a relaxed structure of Ce2TmGa3Au4.

Unit cell a=4.3880 b=4.3880 c=11.5445 alpha=90.00 beta=90.00 gamma=90.00
Closest atoms and distances in Å follow each position.
Space group P-4m2 (No. 115)
Symmetry-distinct sites (fractional):
Ce  0.0000  0.5000  0.2214 (multiplicity 2)  4 Ga 3.29, 8 Au 3.37-3.42
Tm  0.0000  0.0000  0.5000 (multiplicity 1)  4 Au 2.83, 4 Ga 3.10
Ga  0.0000  0.5000  0.8734 (multiplicity 2)  5 Au 2.53-2.64
Ga  0.5000  0.5000  0.5000 (multiplicity 1)  4 Au 2.83, 4 Tm 3.10
Au  0.0000  0.0000  0.0000 (multiplicity 1)  4 Ga 2.64
Au  0.0000  0.5000  0.6544 (multiplicity 2)  3 Ga 2.53-2.83, 2 Tm 2.83
Au  0.5000  0.5000  0.0000 (multiplicity 1)  4 Ga 2.64

Values from the calculation:
The formation energy comes out at -609 meV per atom.

=====

VASP calculation (PBE-GGA) on a relaxed CoSbP2S crystal.

Calculated volume, Å³ per cell: 91
ΔE_f (raw), eV per atom: 0.391
*/
# Here the text continues

  • Credit health can either expand or limit your choices.

    Like it or not, your credit history serves as a crystal ball to future credit responsibility. That's one reason many lenders, landlords, potential employers, service providers, and insurance companies review your credit history report or credit score before deciding whether they'll say "yes" to your application.
    Past credit mistakes don't have to control your future. Turn your credit health around by paying bills on time and keeping account balances low. These two behaviors have the greatest influence on your credit score.

    Order free copies of your credit reports from Each report includes instructions on how to read the data, and may even point to behaviors affecting your credit health. Review your reports at least annually to ensure the data is accurate. If you find errors, follow the dispute procedures of each credit reporting bureau.

  • Insurance coverage can protect you from a financial disaster.

    An auto accident, home break-in, or weather event can do more than damage your property. It can turn your financial world upside down. But if you have an insurance policy, you can limit your out-of-pocket expenses to the deductible amount.
    Since each person's situation is unique, speak with an insurance agent about your coverage options.

  • Emergency savings funds allow you to stay in control of your finances.

    Imagine having a zero-interest rate source of funds to tap if you lose your job or get hit with a large unexpected expense, such as when a major appliance is beyond repair. When you have a financial safety net, you're less likely to turn to high-interest rate credit cards or loans to cover expenses. You can confidently turn to your savings buffer without missing a beat.

    It can take years to build your fund, but you can shorten the timeline by depositing tax refunds and other cash windfalls into a dedicated savings account.

    We might be biased, but personal finance has always been our favorite subject. Learn more about responsible money management for free with our Financial Wellness program. Besides diving deeper into the topics introduced here, you can expand your financial literacy with additional tools and resources!


    *Logix Federal Credit Union is not affiliated with Intuit or Annual Credit, and is a separate entity. Please contact Logix at (800) 328-5328 or visit if you have any questions about this topic or would like to consider opening an account. This blog is intended for informational purposes only and is not provided as tax advice. Please consult with a tax professional or attorney for specific tax related questions. Logix is Federally Insured by NCUA and is an Equal Housing Lender.